(To do)
Next, say how many lines of the material further below hold the word "to", as a bare number.

(Given)
=====
[1]
This record from the Open Molecules 2025 dataset describes a molecular structure, C25H30As2ClIN2O15P2V. The level of theory is ωB97M-V with the def2-TZVPD basis set.

Results
E_LUMO (spin up / spin down): -0.0223 / -0.0217 hartree
frontier orbital gap (spin up / spin down): 5.966 / 6.670 eV
charge: 0
energy relative to the best compared isomer or geometry (same formula, charge and spin): 56.3 kcal/mol
<S²>: 3.776
multiplicity: 4

Each line ends with the Mulliken spin population.
CARTESIAN COORDINATES (ANGSTROEM)
V (0.11166, -0.47382, 0.09802)  2.092
Cl (-2.38664, 6.49993, 1.86171)  -0.001
C (-1.73349, 4.93307, 1.48874)  -0.005
C (-1.14349, 4.74540, 0.28849)  0.004
C (-0.61469, 3.48240, -0.04252)  0.001
I (0.29721, 3.35404, -1.90436)  -0.001
C (-0.67664, 2.42068, 0.82248)  0.006
O (-0.21461, 1.11516, 0.48239)  -0.085
C (-1.23593, 2.63466, 2.11630)  0.014
N (-1.19961, 1.60920, 3.00543)  0.008
C (-1.71698, 1.80461, 4.19121)  -0.009
C (-2.33411, 3.01003, 4.59363)  0.002
C (-2.37229, 4.04482, 3.72319)  -0.001
C (-1.79199, 3.89017, 2.43999)  0.000
H (-1.07314, 5.56020, -0.42004)  0.000
H (-1.66311, 0.98827, 4.90452)  0.007
H (-2.76401, 3.07828, 5.58664)  0.000
H (-2.83172, 4.98708, 3.98804)  0.000
N (3.71910, -2.09490, -0.96429)  0.006
C (2.57059, -1.93644, -1.97120)  -0.018
C (3.00724, -2.48321, -3.34277)  0.001
P (1.97223, -0.17708, -2.13224)  0.034
O (2.55842, 0.38817, -0.69149)  0.036
O (2.64809, 0.50345, -3.24823)  0.002
O (0.45719, -0.27373, -2.00785)  -0.014
P (1.25098, -3.05417, -1.25795)  -0.014
O (0.38329, -3.56370, -2.47354)  -0.001
O (2.04686, -4.13349, -0.63108)  -0.002
O (0.33237, -2.21730, -0.34398)  -0.001
H (4.62068, -2.03877, -1.41594)  0.000
H (3.56219, -3.03197, -0.54291)  0.000
H (3.65980, -1.37431, -0.25316)  0.006
H (3.87444, -1.92911, -3.70667)  0.000
H (2.21382, -2.33526, -4.06968)  0.000
H (3.22892, -3.55050, -3.29108)  0.000
H (2.87529, 1.29956, -0.87506)  0.001
H (-0.29319, -2.91293, -2.74995)  0.001
C (-1.15502, -5.87646, 0.90195)  -0.002
O (-0.99222, -4.47099, 1.17521)  0.007
C (-1.95631, -3.94304, 1.98869)  -0.032
O (-2.85609, -4.65396, 2.37285)  0.056
C (-1.82023, -2.50777, 2.28086)  0.262
C (-2.80436, -1.89128, 3.11089)  0.516
As (-2.50026, -2.67106, 4.85002)  0.021
C (-3.73115, -1.87873, 6.13831)  0.011
C (-0.97876, -1.38253, 5.10869)  0.044
C (-0.12071, -1.00836, 4.16022)  -0.004
As (-0.12346, -1.55706, 2.27018)  -0.104
C (1.17891, -2.97660, 2.59840)  0.035
C (1.11192, -0.18394, 4.38982)  0.013
O (1.87573, 0.10845, 3.50030)  0.003
O (1.33691, 0.14043, 5.66103)  0.002
C (2.49848, 0.94901, 5.91994)  0.000
C (-0.89417, -0.85865, 6.52405)  -0.008
O (-1.37244, 0.19143, 6.84432)  0.004
O (-0.34918, -1.65527, 7.46803)  0.001
C (0.26940, -2.91078, 7.09813)  0.001
C (-3.27474, -0.52152, 2.98809)  -0.062
O (-3.60211, 0.19763, 3.90456)  0.110
O (-3.40919, 0.02715, 1.73044)  0.014
C (-3.54436, -0.79047, 0.57178)  0.029
H (-0.29662, -6.16610, 0.30047)  0.000
H (-2.07836, -6.05913, 0.35660)  0.002
H (-1.17943, -6.45194, 1.82358)  0.001
H (-4.70881, -2.30988, 5.94421)  -0.001
H (-3.77216, -0.79852, 6.04879)  -0.001
H (-3.41417, -2.17126, 7.13792)  0.000
H (0.77845, -3.60510, 3.37861)  -0.003
H (2.09738, -2.50599, 2.93799)  0.002
H (1.36297, -3.57320, 1.71711)  -0.006
H (2.66141, 0.89698, 6.98824)  0.000
H (2.30807, 1.97640, 5.61809)  0.000
H (3.35543, 0.57244, 5.37603)  0.000
H (0.80339, -3.24745, 7.97951)  0.000
H (0.97152, -2.78093, 6.27844)  0.000
H (-0.47000, -3.64887, 6.82212)  -0.001
H (-4.11696, -0.20891, -0.14454)  0.003
H (-4.06230, -1.71845, 0.78686)  0.001
H (-2.59184, -1.03180, 0.13165)  0.018

***

[2]
This record from the Open Molecules 2025 dataset describes a molecular structure, C25H30Cl2CrF2N6PS. The level of theory is ωB97M-V with the def2-TZVPD basis set.

Results
E_LUMO (spin up / spin down): -0.1921 / -0.2115 hartree
frontier orbital gap (spin up / spin down): 7.555 / 7.169 eV
charge: +2
=====

(Written answer)
1